The final day started fast-paced with regional breakout groups reporting back on their roadmap revisions. These generally focused on enhanced cooperation, and included major milestones, a long-term vision and short-term priority actions, modalities for involvement, thematic areas, and actors.
The Western Indian Ocean regional group’s roadmap centered on working towards a common vision of “regional cooperation toward a healthy, productive, and resilient Ocean for the well-being of all,” noting major milestones should include a comprehensive identification of relevant bodies in the region and enhancing their joint framework of collaboration.
# Someone pasted records of molecules at this point
[1]
Below is C10H6Br2Cl3GeHgNO as an isolated structure, with properties calculated with ωB97M-V/def2-TZVPD.

Values from the calculation:
total charge	0
E	-9273.78268	Eh
2S+1	1
F_max	0.0072	Eh/bohr
LUMO level	-0.8	eV
HOMO-LUMO gap	7.34	eV

CARTESIAN COORDINATES (ANGSTROEM)
Hg1 -0.65456 2.08157 1.09290
C1 -0.09111 -1.06305 2.52360
C2 0.04328 -1.15661 1.03282
C3 0.36628 -2.37046 0.39538
C4 0.49302 -2.41008 -0.96255
C5 0.30504 -1.24359 -1.73200
C6 0.41480 -1.17089 -3.14064
Br1 0.84887 -2.71188 -4.15030
C7 0.21073 0.01231 -3.78317
C8 -0.10951 1.17701 -3.06483
Br2 -0.38018 2.77823 -4.01739
C9 -0.23160 1.19152 -1.68725
O1 -0.51985 2.26942 -1.01368
C10 -0.01666 -0.06440 -1.02829
N1 -0.13784 -0.06160 0.32271
H1 0.04024 -2.03517 2.99346
H2 -1.07309 -0.67726 2.80155
H3 0.65986 -0.38231 2.93053
H4 0.51208 -3.25990 0.99228
H5 0.74165 -3.33595 -1.46351
H6 0.29445 0.06950 -4.85914
Cl1 1.53225 2.73195 3.97513
Ge1 -0.52334 2.92262 3.36022
Cl2 -1.65360 1.75143 4.77024
Cl3 -1.07121 4.95758 3.71194

These are the Mulliken partial charges, in e, on atoms 1 to 8:
1 Hg 1.000
2 C -1.158
3 C 0.688
4 C -0.666
5 C -0.701
6 C 1.267
7 C -0.206
8 Br -0.217

***

[2]
Below is C10H6Br2NOPtS4 as an isolated structure, with properties calculated with ωB97M-V/def2-TZVPD.

Values from the calculation:
total charge	+1
E	-7374.50377	Eh
2S+1	5
F_max	0.0087	Eh/bohr
<S²>	6.051
LUMO level (alpha / beta)	-4.2 / -6.2	eV
HOMO-LUMO gap (alpha / beta)	6.85 / 5.66	eV

CARTESIAN COORDINATES (ANGSTROEM)
Pt1 0.00799 0.14896 0.18395
S1 -0.19689 -0.11456 2.44633
S2 1.35441 0.78564 3.35833
S3 2.02562 2.24598 2.13944
S4 0.88311 2.24042 0.48302
C1 -2.95456 0.17549 -1.41687
C2 -2.03047 -0.79563 -2.07313
C3 -2.42606 -1.54666 -3.19240
C4 -1.55992 -2.43035 -3.77569
C5 -0.26569 -2.58208 -3.24467
C6 0.73434 -3.47557 -3.76595
Br1 0.35409 -4.53249 -5.24397
C7 1.99131 -3.57577 -3.19360
C8 2.33038 -2.81365 -2.09210
Br2 4.00786 -2.94645 -1.32713
C9 1.38837 -1.89408 -1.50749
O1 1.67460 -1.19883 -0.51524
C10 0.05900 -1.80671 -2.13521
N1 -0.80601 -0.93901 -1.57052
H1 -3.91917 0.20135 -1.91733
H2 -2.52135 1.17707 -1.43518
H3 -3.10734 -0.09920 -0.37170
H4 -3.42408 -1.41614 -3.58567
H5 -1.86164 -3.00975 -4.63728
H6 2.71701 -4.25824 -3.61280

These are the Mulliken partial charges, in e, on atoms 1 to 8:
1 Pt 1.306
2 S -0.186
3 S 0.083
4 S 0.083
5 S -0.186
6 C -1.520
7 C 0.926
8 C -0.737

***

[3]
Below is C10H6Cl3CoGeNO2S4 as an isolated structure, with properties calculated with ωB97M-V/def2-TZVPD.

Values from the calculation:
total charge	0
E	-7023.08756	Eh
2S+1	6
F_max	0.0123	Eh/bohr
<S²>	8.769
LUMO level (alpha / beta)	-1.0 / -3.5	eV
HOMO-LUMO gap (alpha / beta)	7.70 / 5.99	eV

CARTESIAN COORDINATES (ANGSTROEM)
Co1 0.75322 1.80289 -0.22341
S1 2.88133 2.01741 -1.18425
S2 3.49262 3.84399 -0.84494
S3 2.11937 4.68257 0.53588
S4 0.64425 5.37012 -0.49267
O1 -3.06779 2.47509 -0.74863
C1 -1.93393 2.07482 -0.63481
O2 -0.85340 2.79445 -0.55800
C2 -1.69527 0.56441 -0.58032
C3 -2.77324 -0.33486 -0.56050
The North Atlantic, Baltic and the Mediterranean regional group agreed that major milestones should focus on an ecosystem-based approach for both marine ecosystems and fisheries resource conservation and sustainable use, with the precautionary principle highly recommended.
The Wider Caribbean regional group said their common vision of a “healthy marine environment that supports the well-being and the livelihoods of the people of the region” should be supported by addressing root causes of weak governance and through the Ocean Coordination Mechanism, which could provide a 'blueprint for the regional data and information landscape.'
The Pacific Oceans Basins regional group focused on cross-basin opportunities for dialogue, noting the need for filling institutional gaps, and on sharing resource mobilization given the existence of both developed and developing countries in the region. They also noted the importance of improving collaboration with non-governmental organizations and the private sector.
The Western Atlantic regional group proposed specific changes to the roadmap developed at the 2nd Sustainable Oceans Initiative (SOI) Global Dialogue, including to increase the coordination of scientific information through, for example, the twinning of research institutes, and working together with a broad range of actors in areas of shared interest such as marine spatial planning and Ocean literacy.
The South and South-East Asia group’s major milestones included: mainstreaming the post-2020 Global Biodiversity Framework targets in work plans; formulating regional action plans on marine litter and plastics by 2025; and enhancing capacity building and knowledge sharing. The areas that the group plans to focus on include conserving aquatic habitats and biodiversity, combating marine pollution, and illegal, unreported and unregulated fishing.
The areas that the group plans to focus on include conserving aquatic habitats and biodiversity, combating marine pollution, and illegal, unreported and unregulated fishing.
During a discussion on how the SOI Global Dialogue process can better serve Regional Seas Organizations (RSOs) and Regional Fishery Bodies (RFBs), meeting participants identified the need to show Member States the benefits of engaging in the process, and their role as ambassadors for the process in their respective regions and organizations. They suggested identifying hot spots of best practices on key issues which could then be shared with other regions; designating focal points for regional coordination in each region; and involving participants in the elaboration of future SOI programming.
The Co-Chairs presented the draft Busan Outcome of the SOI. Suggestions from the floor on the document included the possibility of enhanced reference to extending collaboration beyond RSOs and RFBs to include others working within this nexus; the importance and usefulness of SOI; and the need for capacity building and funding.
The meeting ended at 12:09 pm, after which participants joined a lunch hosted by the Ministry of Oceans and Fisheries of the Republic of Korea and a field trip to a local traditional fish market.
All ENB photos are free to use with attribution. For the 3rd Meeting of the SOI Global Dialogue, please use: Photo by IISD/ENB | Anastasia Rodopoulou